Sunday, 10 April 2016

Dear Parents,

Welcome to the last week of Term 1.  We have had a busy term with a variety of sporting and cultural events taking place.
Camp was a huge success, I am so very proud of every member of Room 5 for their exemplary behaviour while on camp and also the effort they all made to enjoy the riding - for some, this was a big ask!
Thank you to the wonderful parents who came to help out.  Not only is camp an opportunity to spend time with your child and their classmates, it's a time to support every other child attending too.  Thank you to those parents who went above and beyond to ensure that the children under their care had a worry free and fun time.

Eisteddfod Assembly is on Thursday 10th April at 1:30pm in the Church.  Beforehand there is a parent picnic at lunchtime - an opportunity for you all to come and share lunch at school.  Please come along, I would love to see you all and have a catch up before we break for the holidays.

Have a great week,


p.s. My phone died on Friday!!! I still have the same number but at this stage have been unable to recover my contacts as I have switched from an apple to a samsung device.  If you can point me in the right direction of an app which will help with this I would be grateful.  The app I used in the weekend will only allow me to make viber calls!!!

**Records of crystals, kept here for reference**
........
DFT (PBE with a Hubbard U) results for crystalline NiHgN2F at its relaxed geometry.

**SG**: P4/mmm
**Distance to the lowest polymorph of the same formula**: 748 meV per atom

Cell: 4.1756 4.1756 4.6098 Å, 90.00 90.00 90.00°
Fractional coordinates of all 5 atoms:
Ni1 0.0000 0.0000 0.0000
Hg1 0.5000 0.5000 0.5000
N1 0.0000 0.5000 0.5000
N2 0.5000 0.0000 0.5000
F1 0.5000 0.5000 0.0000

=====

w.
This record from the Alexandria database describes an optimized crystal structure of YHo6Er12. The functional is GGA-PBE.

Its total moment is 0.0 μB per formula unit. The crystal system is trigonal.

Structure (CIF):
```
data_YHo6Er12
_chemical_formula_sum 'Y3 Ho18 Er36'
_space_group_name_H-M_alt 'R -3 m'
_space_group_IT_number 166
_space_group_name_Hall '-R 3 2"'
_cell_length_a 14.9500
_cell_length_b 14.9500
_cell_length_c 9.9286
_cell_angle_alpha 90.00
_cell_angle_beta 90.00
_cell_angle_gamma 120.00
loop_
_atom_site_label
_atom_site_type_symbol
_atom_site_fract_x
_atom_site_fract_y
_atom_site_fract_z
Y1 Y 0.0000 0.0000 0.0000
Ho1 Ho 0.0545 0.5272 0.2111
Er1 Er 0.0000 0.3893 0.5000
Er2 Er 0.0727 0.1455 0.2862
```



x.
This record from the Alexandria database describes an optimized crystal structure of YHo6Er12. The functional is GGA-PBE.

Its total moment is 0.0 μB per formula unit. The crystal system is trigonal.

Structure (CIF):
```
data_YHo6Er12
_chemical_formula_sum 'Y3 Ho18 Er36'
_space_group_name_H-M_alt 'R -3'
_space_group_IT_number 148
_space_group_name_Hall '-R 3'
_cell_length_a 11.7614
_cell_length_b 11.7614
_cell_length_c 15.0973
_cell_angle_alpha 90.00
_cell_angle_beta 90.00
_cell_angle_gamma 120.00
loop_
_atom_site_label
_atom_site_type_symbol
_atom_site_fract_x
_atom_site_fract_y
_atom_site_fract_z
Y1 Y 0.0000 0.0000 0.0000
Ho1 Ho 0.0093 0.4222 0.6780
Er1 Er 0.0191 0.8364 0.1916
Er2 Er 0.0400 0.8516 0.4156
```



Winner for stability: x



w.
This record from the Alexandria database describes an optimized crystal structure of Y3Ho6Er. The functional is GGA-PBE.

Its total moment is 0.0 μB per formula unit. The crystal system is orthorhombic.

Structure (CIF):
```
data_Y3Ho6Er
_chemical_formula_sum 'Y12 Ho24 Er4'
_space_group_name_H-M_alt 'C m c 21'
_space_group_IT_number 36
_space_group_name_Hall 'C 2c -2'
_cell_length_a 11.001
_cell_length_b 18.934
_cell_length_c 6.139
_cell_angle_alpha 90.00
_cell_angle_beta 90.00
_cell_angle_gamma 90.00
loop_
_atom_site_label
_atom_site_type_symbol
_atom_site_fract_x
_atom_site_fract_y
_atom_site_fract_z
Y1 Y 0.000 0.109 0.000
Y2 Y 0.170 0.391 0.390
Ho1 Ho 0.000 0.217 0.570
Ho2 Ho 0.000 0.452 0.859
Ho3 Ho 0.165 0.047 0.463
Ho4 Ho 0.249 0.211 0.294
Er1 Er 0.000 0.291 0.078
```



x.
This record from the Alexandria database describes an optimized crystal structure of Y3Ho6Er. The functional is GGA-PBE.

Its total moment is 0.0 μB per formula unit. The crystal system is orthorhombic.

Structure (CIF):
```
data_Y3Ho6Er
_chemical_formula_sum 'Y12 Ho24 Er4'
_space_group_name_H-M_alt 'C m c 21'
........
**End of the records of crystals**

Scripture Reading Challenge 2014

  • Your scripture reading can be anything you like, eg. a parable, a psalm, a reading from the Gospels.

  • Introductory speech – Years 3/4: 15-20 seconds, Y5/6: 30–45 seconds, Y7/8: 1 minute (times are approximate). This is a time to use the main ideas or theme of their scripture reading to make up a small speech explaining what the reading means to them, without retelling the reading – ie. ‘What the story of the Last Supper tells/demonstrates/means to me is ...... ‘

  • Format for scripture reading on the day – students will start in the middle of the church in front of the altar using a microphone with their introductory speech, then they move to the lectern and say “This is a reading from eg. Matthew Chapter3, Verses 1 -14 ...” then start the reading. At the end, if it is a gospel reading only say, “The Gospel of the Lord”
  • Timetable – Monday 7th or Tuesday 8th April class Eisteddfods will be heard
-       Whole school eisteddfods will be on Thursday 10th April – one girl & one boy from each Room. The school newsletter will have the exact time of this

........
1.
First-principles (GGA-PBE) data for a relaxed structure of BaBeSb3, as listed in Alexandria.

Computed properties:
* energy: -3.7188 eV per atom
* formation energy (no corrections): -0.6 eV/f.u.

POSCAR file:
```
BaBeSb3
1.0
5.207 0.000 0.000
0.000 5.207 0.000
0.000 0.000 5.207
Ba Be Sb
1 1 3
direct
0.000 0.000 0.000
0.500 0.500 0.500
0.000 0.500 0.500
0.500 0.000 0.500
0.500 0.500 0.000
```

2.
First-principles (GGA-PBE) data for a relaxed structure of La3IrPb, as listed in Alexandria.

Computed properties:
* energy: -5.5091 eV per atom

POSCAR file:
```
La3IrPb
1.0
3.342 -8.686 0.000
3.342 8.686 0.000
0.000 0.000 5.784
La Ir Pb
6 2 2
direct
0.000 0.000 0.000
0.000 0.000 0.500
0.115 0.417 0.750
0.417 0.115 0.250
0.583 0.885 0.750
0.885 0.583 0.250
0.481 0.519 0.750
0.519 0.481 0.250
0.177 0.823 0.750
0.823 0.177 0.250
```

3.
First-principles (GGA-PBE) data for a relaxed structure of AlPdAu3, as listed in Alexandria.

Computed properties:
* energy: -4.0303 eV per atom

POSCAR file:
```
AlPdAu3
1.0
4.087 -4.209 0.000
4.087 4.209 0.000
-2.082 0.000 5.201
Al Pd Au
2 2 6
direct
0.235 0.235 0.496
0.765 0.765 0.504
0.080 0.080 0.803
0.920 0.920 0.197
0.073 0.575 0.794
0.425 0.927 0.206
0.428 0.428 0.212
0.572 0.572 0.788
0.575 0.073 0.794
0.927 0.425 0.206
```

4.
First-principles (GGA-PBE) data for a relaxed structure of Mn4ZnN, as listed in Alexandria.

Computed properties:
* energy: -7.4973 eV per atom
* formation energy (no corrections): 1.3 eV/f.u.

POSCAR file:
```
Mn4ZnN
1.0
4.950 0.000 0.000
0.000 4.950 0.000
0.000 0.000 6.657
Mn Zn N
8 2 2
direct
0.000 0.000 0.196
0.000 0.000 0.804
0.171 0.329 0.500
0.329 0.829 0.500
0.500 0.500 0.196
0.500 0.500 0.804
0.671 0.171 0.500
0.829 0.671 0.500
0.000 0.500 0.000
0.500 0.000 0.000
0.000 0.000 0.500
0.500 0.500 0.500
```

5.
First-principles (GGA-PBE) data for a relaxed structure of TaTcAu2, as listed in Alexandria.

Computed properties:
* energy: -7.1480 eV per atom

POSCAR file:
```
TaTcAu2
1.0
4.083 0.000 0.000
0.000 4.099 0.000
0.000 0.000 8.024
Ta Tc Au
2 2 4
direct
0.000 0.000 0.000
0.500 0.500 0.500
0.000 0.500 0.749
0.500 0.000 0.249
0.000 0.000 0.499
0.000 0.500 0.249
0.500 0.000 0.749
0.500 0.500 0.999
```

6.
First-principles (GGA-PBE) data for a relaxed structure of CaYCr2, as listed in Alexandria.

Computed properties:
* energy: -6.5130 eV per atom

POSCAR file:
```
CaYCr2
1.0
3.744 0.000 0.000
-1.872 3.242 0.000
0.000 0.000 24.192
Ca Y Cr
3 3 6
direct
0.000 0.000 0.000
0.333 0.667 0.667
0.667 0.333 0.333
0.000 0.000 0.189
0.333 0.667 0.856
0.667 0.333 0.523
0.000 0.000 0.433
0.000 0.000 0.767
0.333 0.667 0.100
0.333 0.667 0.433
0.667 0.333 0.100
0.667 0.333 0.766
```

What did the first record say?
First-principles (GGA-PBE) data for a relaxed structure of BaBeSb3, as listed in Alexandria.

Computed properties:
* energy: -3.7188 eV per atom
* formation energy (no corrections): -0.6 eV/f.u.

POSCAR file:
```
BaBeSb3
1.0
5.207 0.000 0.000
0.000 5.207 0.000
0.000 0.000 5.207
Ba Be Sb
........
[Back to the page]

  • For students to remember
-       When reading from the lectern you do not have to look up at your audience all the time – don’t always look at one particular group.
-       Use good expression when you read.
-       Do not read too fast.
-       Pause correctly.
-       You do not have to learn you reading off by heart but you must learn your introduction.

-       Make sure your words and voice are very clear, so that your audience understands.

Sunday, 3 April 2016

Week 10

Hands up -  who's excited?

The term is almost over and camp is only 2 nights away.  I have been very busy sorting final details, collecting in notices and making sure that all camp activities will be sorted for the kids.

Monday and Tuesday will be spent preparing for camp with the children having a few learning focuses while they are riding and being tourists.  Next week we will be reliving the joys of camp through our reading, writing, maths and art.

Arrival on Wednesday morning
We aim to leave school around 9am on Wednesday morning.  We are lucky to have had daylight savings over the weekend as this will make a nice difference to a little bit of warmth on our early start.
Can everybody please be at the church car park no later than 8:30am.  This will give us time for loading bags and sorting a few last minute briefing details.

These data records were left in the text by mistake
~~~
## HfZr4Fe5 (PBE)

Data for a geometry-optimized HfZr4Fe5 structure.

Structure (extended XYZ):
```
10
Lattice="3.173 0.000 0.000 0.000 3.173 0.000 0.000 0.000 15.768" Properties=species:S:1:pos:R:3 pbc="T T T"
Hf 0.000 0.000 0.000
Zr 0.000 0.000 3.145
Zr 0.000 0.000 6.305
Zr 0.000 0.000 9.464
Zr 0.000 0.000 12.623
Fe 1.587 1.587 1.545
Fe 1.587 1.587 4.715
Fe 1.587 1.587 7.884
Fe 1.587 1.587 11.054
Fe 1.587 1.587 14.224
```

Results
**E_form**: -0.211 eV per atom
~~~

FLURO VESTS - Each child needs a fluro vest - I have a box at school which can be distributed if you don't have one at home.  I think around half of the class has them already.
The vests will ensure we are visible to others are especially when we are crossing main roads.

Remember we have 12 parents attending camp and we are all their for the kids.  Your child will be supported and have a huge amount of fun on camp.  Enjoy your two nights with them away knowing this.

See you all at 8:30am on Wednesday morning.

Mrs Lyon